
Mixed or average reviews - based on 16 Critic Reviews

Critic score distribution:
  1. Positive: 4 out of 16
[Unrelated to this entry: materials data]
+++
Record 1
# CaMoW2

Crystalline CaMoW2 at its relaxed geometry (PBE, Alexandria via LeMat-Bulk).

The space group is I4/mmm (No. 139) and the conventional cell measures 3.900, 3.900 and 9.529 Å, with angles of 90.00, 90.00 and 90.00 degrees. The asymmetric unit holds Ca at (0.000, 0.000, 0.000), Mo at (0.000, 0.000, 0.500) and W at (0.000, 0.500, 0.250).

Its offset from the most stable computed form is 0.522 eV/atom. The calculation puts the total magnetization at 0.203 μB per atom. The value obtained for the density of states at the Fermi level is 1.415 states/eV per atom. The energy of formation from the pure elements is 1.04 eV per atom.

=====

Record 2
# MgTe2P

Crystalline MgTe2P at its relaxed geometry (PBE, Alexandria via LeMat-Bulk).

The space group is Pm (No. 6) and the conventional cell measures 4.612, 5.188 and 4.773 Å, with angles of 90.00, 102.01 and 90.00 degrees. The asymmetric unit holds Mg at (0.000, 0.000, 0.000), Te at (0.399, 0.000, 0.602), Te at (0.834, 0.500, 0.195) and P at (0.217, 0.500, 0.643).

Its offset from the most stable computed form is 0.060 eV/atom. The calculation puts the total magnetization at 0.000 μB per atom. The value obtained for the density of states at the Fermi level is 0.236 states/eV per atom. The calculation puts the formation energy without anion corrections at -0.16 eV/atom.

~~~~~

A plane-wave DFT calculation with GGA-PBE was carried out for a geometry-optimized GaOsIN2 structure.

Results
relative energy among the computed polymorphs	1224	meV per atom
crystal system	tetragonal
formation energy without anion corrections	10.22	eV/f.u.

abc: 3.811 3.811 6.671
angles: 90.00 90.00 90.00
Space group P4/mmm (No. 123)
Asymmetric unit:
Ga (0.000, 0.000, 0.000) x1
Os (0.500, 0.500, 0.500) x1
I (0.000, 0.000, 0.500) x1
N (0.000, 0.500, 0.000) x2

A plane-wave DFT calculation with GGA-PBE was carried out for a geometry-optimized GaOsI2N structure.

Results
relative energy among the computed polymorphs	1201	meV per atom
crystal system	tetragonal
formation energy without anion corrections	7.65	eV/f.u.

abc: 5.787 5.787 3.496
angles: 90.00 90.00 90.00
Space group P4/mmm (No. 123)
Asymmetric unit:
Ga (0.000, 0.000, 0.000) x1
Os (0.500, 0.500, 0.500) x1
I (0.000, 0.500, 0.000) x2
N (0.000, 0.000, 0.500) x1

A plane-wave DFT calculation with GGA-PBE was carried out for a geometry-optimized GaOsI2N structure.

Results
relative energy among the computed polymorphs	0	meV per atom
crystal system	tetragonal
formation energy without anion corrections	1.65	eV/f.u.

abc: 5.674 5.674 3.767
angles: 90.00 90.00 90.00
Space group P4/mmm (No. 123)
Asymmetric unit:
Ga (0.000, 0.000, 0.000) x1
Os (0.500, 0.500, 0.500) x1
I (0.000, 0.500, 0.500) x2
N (0.500, 0.500, 0.000) x1

A plane-wave DFT calculation with GGA-PBE was carried out for a geometry-optimized GaOsIN2 structure.

Results
relative energy among the computed polymorphs	0	meV per atom
crystal system	tetragonal
formation energy without anion corrections	4.10	eV/f.u.
+++
[So much for the materials data]
  2. Negative: 3 out of 16
  1. Though he fits somewhere between R. Kelly and Ginuwine, Foxx has more than enough personality and talent to defend his music against accusations of opportunism.
  2. Unpredictable actually gets rather predictable over the course of 15 songs, too many of which begin to meld into one another.
  3. Blender
    The production feels lethargic and unmelodic... and Foxx's lyrics are all corny come-ons and cheesy sentimentalisms. [Mar 2006, p.113]
  4. It's not that Foxx can't sing.... It's not even really the lack of stunning songs. It's the fact that his super slick, super smooth R&B hasn't been either cool or fashionable for more than a decade.
  5. Whether he makes it all work via his musical skills or chameleonic acting ability, we don't know, but it does work.
  6. Entertainment Weekly
    We know that Foxx can actually sing, but this ballad-heavy disc of cliched wordplay and commonplace melodies proves his music career should've ended on screen. [13 Jan 2006, p.78]
  7. Foxx's music and range of vocal techniques are not unique, but perhaps this added touch of genuine, heartfelt realism is what will see the actor make a successful jump into the music industry.
  8. This is a dry affair dominated by standard-issue R&B production monotony, and an egregious misuse of resources.
  9. Paste Magazine
    It's better to be the imitation Ray Charles than the poor man's R. Kelly. [Feb/Mar 2006, p.94]
  10. Foxx shows some real talent on this album, and he doesn't embarrass himself - except for when he embarrasses himself.
  11. Q Magazine
    The voice that set such a spark to West's Gold Digger should be capable of more than this exaggerated comedy sex routine. [May 2006, p.126]
-- Crystal structures, as found in the file --
-- begin --
(1)
K3HoRe2O9 | PBE | optimized geometry

Cell and atoms, written as CIF:
```
data_K3HoRe2O9
_chemical_formula_sum 'K3 Ho1 Re2 O9'
_space_group_name_H-M_alt 'P -3 m 1'
_space_group_IT_number 164
_space_group_name_Hall '-P 3 2"'
_cell_length_a 5.7530
_cell_length_b 5.7530
_cell_length_c 7.1116
_cell_angle_alpha 90.00
_cell_angle_beta 90.00
_cell_angle_gamma 120.00
loop_
_atom_site_label
_atom_site_type_symbol
_atom_site_fract_x
_atom_site_fract_y
_atom_site_fract_z
_atom_site_occupancy
K1 K 0.0000 0.0000 0.0000 1
K2 K 0.3333 0.6667 0.6680 1
Ho1 Ho 0.0000 0.0000 0.5000 1
Re1 Re 0.3333 0.6667 0.1594 1
O1 O 0.0000 0.5000 0.0000 1
O2 O 0.1782 0.3563 0.3104 1
```

Properties
Formation energy without anion corrections   -2.055 eV/atom
Electronic total energy   -108.22 eV/f.u.
Theoretical density   6506 kg/m3
Total magnetic moment   0.00 μB/cell

(2)
KHoReO6 | PBE | optimized geometry

Cell and atoms, written as CIF:
```
data_KHoReO6
_chemical_formula_sum 'K2 Ho2 Re2 O12'
_space_group_name_H-M_alt 'C 1 2 1'
_space_group_IT_number 5
_space_group_name_Hall 'C 2y'
_cell_length_a 5.739
_cell_length_b 10.032
_cell_length_c 5.626
_cell_angle_alpha 90.00
_cell_angle_beta 93.00
_cell_angle_gamma 90.00
loop_
_atom_site_label
_atom_site_type_symbol
_atom_site_fract_x
_atom_site_fract_y
_atom_site_fract_z
_atom_site_occupancy
K1 K 0.000 0.000 0.000 1
Ho1 Ho 0.000 0.318 0.500 1
Re1 Re 0.000 0.679 0.500 1
O1 O 0.094 0.516 0.335 1
O2 O 0.155 0.786 0.294 1
O3 O 0.225 0.187 0.301 1
```

Properties
Formation energy without anion corrections   -2.003 eV/atom
Electronic total energy   -65.90 eV/f.u.
Theoretical density   4993 kg/m3
Total magnetic moment   2.10 μB/cell

(3)
KHoRe2O8 | PBE | optimized geometry

Cell and atoms, written as CIF:
```
data_KHoRe2O8
_chemical_formula_sum 'K1 Ho1 Re2 O8'
_space_group_name_H-M_alt 'P -3 m 1'
_space_group_IT_number 164
_space_group_name_Hall '-P 3 2"'
_cell_length_a 6.0040
_cell_length_b 6.0040
_cell_length_c 7.5635
_cell_angle_alpha 90.00
_cell_angle_beta 90.00
_cell_angle_gamma 120.00
loop_
_atom_site_label
_atom_site_type_symbol
_atom_site_fract_x
_atom_site_fract_y
_atom_site_fract_z
_atom_site_occupancy
K1 K 0.0000 0.0000 0.0000 1
Ho1 Ho 0.0000 0.0000 0.5000 1
Re1 Re 0.3333 0.6667 0.7636 1
O1 O 0.1696 0.3392 0.6820 1
O2 O 0.3333 0.6667 0.9968 1
```

Properties
Formation energy without anion corrections   -2.008 eV/atom
Electronic total energy   -94.34 eV/f.u.
Theoretical density   4954 kg/m3
Total magnetic moment   2.02 μB/cell

(4)
K2HoRe3O12 | PBE | optimized geometry

Cell and atoms, written as CIF:
```
data_K2HoRe3O12
_chemical_formula_sum 'K6 Ho3 Re9 O36'
_space_group_name_H-M_alt 'R -3 m'
_space_group_IT_number 166
_space_group_name_Hall '-R 3 2"'
_cell_length_a 7.3968
_cell_length_b 7.3968
_cell_length_c 18.5947
_cell_angle_alpha 90.00
_cell_angle_beta 90.00
_cell_angle_gamma 120.00
loop_
_atom_site_label
_atom_site_type_symbol
_atom_site_fract_x
_atom_site_fract_y
_atom_site_fract_z
_atom_site_occupancy
-- stop --
  12. When the album works, it's because of Foxx's easy charm and A-list confidence.
  13. Unpredictable resembles another legendary thespian's venture into pop, William Shatner's 1968 opus The Transformed Man, in that you start to wonder whether Foxx is actually serious or not.
  14. Uncut
    Foxx... is trying too hard. [May 2006, p.114]
  15. Vibe
    Contrary to the disc's title, however, Foxx grinds out by-the-numbers do-me anthems. [Mar 2006, p.188]
  16. Unpredictable is pure product, buffed-and-shined modern r&b.... But Foxx has also created a work geared toward sexual pleasure that will work its way into many a late-night floating-world session.
User Score

Generally favorable reviews- based on 27 Ratings

User score distribution:
  1. Positive: 16 out of 27
  2. Negative: 9 out of 27
  1. BorisF
    Sep 24, 2006
    a great voice waisted on boring and sappy love songs, energy lacking up-beats, and upstaging guest appearences. there is one exception to a great voice waisted on boring and sappy love songs, energy lacking up-beats, and upstaging guest appearences. there is one exception to this, the very sexy 2nd single "dj play a love song" is worth a download, but dont waste your time on the rest of the album Full Review »
  2. richardj
    Jun 22, 2006
    I didn't think much of this album atall, the guy has a good voice but it just sounds like every other cliche R & B album(which i'm I didn't think much of this album atall, the guy has a good voice but it just sounds like every other cliche R & B album(which i'm sorry is getting beyond belief people still buy sh*T like this!), Jamie claimed he was coming up with something different, well I don't see it or hear it! (All F*cking hype like Kayne "lets rip old tunes and spit lazy lyrics over it" West) Stick to the acting and stop f*Cking pretending to be Ray Charles, the film's good but stop singing his hooks and then stupid assed people saying "JAmie Foxx sounds like Ray Charles", People hear me now! He doesn;t sound like Ray Charles and he will never be the legend Ray Charles is, get up off your ass and buy the greatest Ray Charles album and listen! And don't buy this heap of sh*T album Full Review »
  3. Mel
    Mar 14, 2006
    This man is just so SMOOTH and FINE... His voice is to make any women melt at the knees ... Great Album ....